Activity:
Could you reproduce the whole of the listing underneath verbatim?

Listing:
~~~
This record from OMol25 describes 2 unconnected molecules or ions with the total composition C10H16 in a non-equilibrium geometry. The level of theory is ωB97M-V/def2-TZVPD.

Output
- Relative energy (zero: lowest compared OMol25 entry of this formula, charge and spin): 9.8 kcal/mol
- LUMO energy: 1.0 eV
- M: 136.238 g/mol

The geometry in ORCA input format:
```
! wB97M-V def2-TZVPD RIJCOSX def2/J DEFGRID3
* xyz 0 1
H 1.26 2.42 -1.30
C 0.47 1.81 -0.94
H 0.36 -3.77 0.30
H 0.74 -1.54 1.06
H 3.16 -1.67 -0.85
C -1.49 1.40 2.33
H 2.93 -0.75 0.61
H 0.80 -0.97 -0.55
C 0.08 1.95 0.39
C 0.57 -3.05 -0.49
H -0.92 2.17 2.84
C -1.01 1.26 0.91
C -1.72 0.38 0.08
C -1.39 0.29 -1.26
H -2.56 -0.20 0.45
C 1.18 -1.76 0.09
C -0.25 0.93 -1.72
H -0.36 -2.81 -0.99
H -1.96 -0.35 -1.92
C 2.70 -1.71 0.14
H 1.13 -3.57 -1.25
H -2.54 1.69 2.43
H -1.32 0.45 2.84
H 0.09 0.77 -2.74
H 0.67 2.49 1.12
H 3.10 -2.53 0.73
*
```

This record from OMol25 describes a molecular structure, C22H37BeCl6CsF8GaN2NaO13 in a non-equilibrium geometry. The level of theory is ωB97M-V/def2-TZVPD.

Output
- LUMO energy: -6.5 eV
- M: 1136.871 g/mol

The geometry in ORCA input format:
```
! wB97M-V def2-TZVPD RIJCOSX def2/J DEFGRID3
* xyz 0 1
C 4.12 1.35 -1.74
H 1.45 -2.65 1.99
H 2.39 1.79 1.51
H -9.81 -1.01 -4.72
Na -4.27 0.46 1.47
C 1.72 1.99 0.67
O 4.75 -6.53 -4.34
H 6.03 -2.30 4.21
H -3.55 1.75 0.59
Be -8.00 1.78 -4.09
C 0.60 -4.64 -1.04
C 5.82 6.69 3.15
O 2.70 -3.85 5.37
O -3.02 1.44 -1.33
Cl 7.28 8.08 6.87
H 0.59 -1.34 1.19
H 5.83 7.83 1.36
H 3.03 -5.90 5.30
H 6.25 5.81 2.67
C -7.93 0.75 -1.78
H 1.43 -5.33 5.84
N -9.68 -4.42 -2.56
F 4.04 1.90 -3.10
H -1.35 3.13 -0.78
O 4.05 -2.23 4.89
F 6.35 1.82 -1.09
H 1.14 1.49 -2.13
N 3.63 -7.04 -4.45
H 0.64 -3.56 -1.02
H 2.78 -1.40 -1.69
C 5.07 3.74 -1.08
C 5.07 2.21 -0.89
C 6.17 7.94 2.39
H -9.29 -2.61 -4.14
O 3.35 -8.06 -3.82
C 3.71 -3.48 4.58
O 4.22 -4.16 3.73
F 5.26 4.35 0.08
O -8.45 -4.16 -2.56
C -9.45 -0.94 -1.92
H 4.75 6.57 3.27
F 4.76 1.93 0.38
H -1.20 2.65 2.24
H 5.29 -0.70 4.43
C -4.33 0.97 -1.48
C -8.97 -1.60 -4.36
O 2.78 -6.51 -5.18
F 4.78 0.19 -1.94
O -7.80 0.23 -3.06
Cl 2.21 -5.24 -1.42
O -10.11 -5.55 -2.73
Cs 5.38 2.47 -4.32
C 1.57 -1.66 1.54
Cl 5.37 9.37 3.07
C 0.27 1.60 1.02
H 1.78 3.06 0.49
O -8.75 0.06 -1.06
Ga 2.15 0.99 -1.00
F 3.96 4.19 -1.63
O -10.47 -3.43 -2.40
H -5.05 1.79 -1.43
H 4.82 -1.72 3.04
Cl 6.55 6.67 4.83
H -0.16 3.69 1.31
H 0.29 0.95 1.90
H 3.52 -1.28 0.68
H -4.41 0.49 -2.45
H -2.45 3.72 0.44
H -0.14 0.98 0.21
C -0.71 2.76 1.26
Cl -0.57 -5.12 -2.26
H -4.61 0.22 -0.74
H -10.38 -0.48 -2.27
C -2.63 1.64 0.01
H 1.88 -5.28 4.11
H -8.19 -1.63 -5.12
C 2.13 -1.02 -0.90
C 5.12 -1.72 4.08
O -7.34 1.75 -1.48
C -1.78 2.89 0.19
H 7.24 8.13 2.39
H -2.09 0.75 0.37
H 2.78 -2.76 0.14
H 1.87 -0.99 2.34
H -7.66 -1.83 -2.68
H -9.66 -1.84 -1.36
C 2.23 -5.18 5.13
Cl 0.08 -5.18 0.57
F 6.11 4.07 -1.87
F 0.82 -1.49 -1.24
C -8.45 -1.16 -3.03
C 2.57 -1.72 0.38
*
```

This record from OMol25 describes a single C4H8N2S molecule in a non-equilibrium geometry. The level of theory is ωB97M-V/def2-TZVPD.

Output
- Relative energy (zero: lowest compared OMol25 entry of this formula, charge and spin): 84.1 kcal/mol
- LUMO energy: 0.0 eV
- M: 116.189 g/mol

The geometry in ORCA input format:
```
! wB97M-V def2-TZVPD RIJCOSX def2/J DEFGRID3
* xyz 0 1
H -1.33 1.58 0.08
C -0.82 1.37 -0.83
N -0.20 -2.09 0.15
H 1.59 1.68 -0.16
H -1.58 1.10 -1.52
C 1.17 0.82 0.34
N 0.39 -2.79 0.91
H 0.30 -3.79 0.76
S -1.74 -0.66 1.32
H 0.46 1.11 1.19
H 0.71 -0.18 -1.40
C 0.14 0.26 -0.53
H 1.92 0.02 0.67
H -0.40 2.36 -1.22
C -0.60 -0.80 0.25
*
```

Going through the records in order, we get Kohn-Sham gap values of 10.04; 0.76; 8.67 eV.


The molecule C18H19F3N2O2, computed with ωB97M-V/def2-TZVPD.

```
44
Properties=species:S:1:pos:R:3:forces:R:3
C -0.067664 3.977818 -0.707778 -0.006 -0.321 -0.180
C 0.035162 2.621501 -1.411601 -0.107 0.277 0.149
C -0.976668 1.628365 -0.819665 0.244 -0.306 -0.517
O -1.932235 1.966867 -0.158251 -0.271 0.215 0.244
~~~

Worked solution:
This record from OMol25 describes 2 unconnected molecules or ions with the total composition C10H16 in a non-equilibrium geometry. The level of theory is ωB97M-V/def2-TZVPD.

Output
- Relative energy (zero: lowest compared OMol25 entry of this formula, charge and spin): 9.8 kcal/mol
- LUMO energy: 1.0 eV
- M: 136.238 g/mol

The geometry in ORCA input format:
```
! wB97M-V def2-TZVPD RIJCOSX def2/J DEFGRID3
* xyz 0 1
H 1.26 2.42 -1.30
C 0.47 1.81 -0.94
H 0.36 -3.77 0.30
H 0.74 -1.54 1.06
H 3.16 -1.67 -0.85
C -1.49 1.40 2.33
H 2.93 -0.75 0.61
H 0.80 -0.97 -0.55
C 0.08 1.95 0.39
C 0.57 -3.05 -0.49
H -0.92 2.17 2.84
C -1.01 1.26 0.91
C -1.72 0.38 0.08
C -1.39 0.29 -1.26
H -2.56 -0.20 0.45
C 1.18 -1.76 0.09
C -0.25 0.93 -1.72
H -0.36 -2.81 -0.99
H -1.96 -0.35 -1.92
C 2.70 -1.71 0.14
H 1.13 -3.57 -1.25
H -2.54 1.69 2.43
H -1.32 0.45 2.84
H 0.09 0.77 -2.74
H 0.67 2.49 1.12
H 3.10 -2.53 0.73
*
```

This record from OMol25 describes a molecular structure, C22H37BeCl6CsF8GaN2NaO13 in a non-equilibrium geometry. The level of theory is ωB97M-V/def2-TZVPD.

Output
- LUMO energy: -6.5 eV
- M: 1136.871 g/mol

The geometry in ORCA input format:
```
! wB97M-V def2-TZVPD RIJCOSX def2/J DEFGRID3
* xyz 0 1
C 4.12 1.35 -1.74
H 1.45 -2.65 1.99
H 2.39 1.79 1.51
H -9.81 -1.01 -4.72
Na -4.27 0.46 1.47
C 1.72 1.99 0.67
O 4.75 -6.53 -4.34
H 6.03 -2.30 4.21
H -3.55 1.75 0.59
Be -8.00 1.78 -4.09
C 0.60 -4.64 -1.04
C 5.82 6.69 3.15
O 2.70 -3.85 5.37
O -3.02 1.44 -1.33
Cl 7.28 8.08 6.87
H 0.59 -1.34 1.19
H 5.83 7.83 1.36
H 3.03 -5.90 5.30
H 6.25 5.81 2.67
C -7.93 0.75 -1.78
H 1.43 -5.33 5.84
N -9.68 -4.42 -2.56
F 4.04 1.90 -3.10
H -1.35 3.13 -0.78
O 4.05 -2.23 4.89
F 6.35 1.82 -1.09
H 1.14 1.49 -2.13
N 3.63 -7.04 -4.45
H 0.64 -3.56 -1.02
H 2.78 -1.40 -1.69
C 5.07 3.74 -1.08
C 5.07 2.21 -0.89
C 6.17 7.94 2.39
H -9.29 -2.61 -4.14
O 3.35 -8.06 -3.82
C 3.71 -3.48 4.58
O 4.22 -4.16 3.73
F 5.26 4.35 0.08
O -8.45 -4.16 -2.56
C -9.45 -0.94 -1.92
H 4.75 6.57 3.27
F 4.76 1.93 0.38
H -1.20 2.65 2.24
H 5.29 -0.70 4.43
C -4.33 0.97 -1.48
C -8.97 -1.60 -4.36
O 2.78 -6.51 -5.18
F 4.78 0.19 -1.94
O -7.80 0.23 -3.06
Cl 2.21 -5.24 -1.42
O -10.11 -5.55 -2.73
Cs 5.38 2.47 -4.32
C 1.57 -1.66 1.54
Cl 5.37 9.37 3.07
C 0.27 1.60 1.02
H 1.78 3.06 0.49
O -8.75 0.06 -1.06
Ga 2.15 0.99 -1.00
F 3.96 4.19 -1.63
O -10.47 -3.43 -2.40
H -5.05 1.79 -1.43
H 4.82 -1.72 3.04
Cl 6.55 6.67 4.83
H -0.16 3.69 1.31
H 0.29 0.95 1.90
H 3.52 -1.28 0.68
H -4.41 0.49 -2.45
H -2.45 3.72 0.44
H -0.14 0.98 0.21
C -0.71 2.76 1.26
Cl -0.57 -5.12 -2.26
H -4.61 0.22 -0.74
H -10.38 -0.48 -2.27
C -2.63 1.64 0.01
H 1.88 -5.28 4.11
H -8.19 -1.63 -5.12
C 2.13 -1.02 -0.90
C 5.12 -1.72 4.08
O -7.34 1.75 -1.48
C -1.78 2.89 0.19
H 7.24 8.13 2.39
H -2.09 0.75 0.37
H 2.78 -2.76 0.14
H 1.87 -0.99 2.34
H -7.66 -1.83 -2.68
H -9.66 -1.84 -1.36
C 2.23 -5.18 5.13
Cl 0.08 -5.18 0.57
F 6.11 4.07 -1.87
F 0.82 -1.49 -1.24
C -8.45 -1.16 -3.03
C 2.57 -1.72 0.38
*
```

This record from OMol25 describes a single C4H8N2S molecule in a non-equilibrium geometry. The level of theory is ωB97M-V/def2-TZVPD.

Output
- Relative energy (zero: lowest compared OMol25 entry of this formula, charge and spin): 84.1 kcal/mol
- LUMO energy: 0.0 eV
- M: 116.189 g/mol

The geometry in ORCA input format:
```
! wB97M-V def2-TZVPD RIJCOSX def2/J DEFGRID3
* xyz 0 1
H -1.33 1.58 0.08
C -0.82 1.37 -0.83
N -0.20 -2.09 0.15
H 1.59 1.68 -0.16
H -1.58 1.10 -1.52
C 1.17 0.82 0.34
N 0.39 -2.79 0.91
H 0.30 -3.79 0.76
S -1.74 -0.66 1.32
H 0.46 1.11 1.19
H 0.71 -0.18 -1.40
C 0.14 0.26 -0.53
H 1.92 0.02 0.67
H -0.40 2.36 -1.22
C -0.60 -0.80 0.25
*
```

Going through the records in order, we get Kohn-Sham gap values of 10.04; 0.76; 8.67 eV.


The molecule C18H19F3N2O2, computed with ωB97M-V/def2-TZVPD.

```
44
Properties=species:S:1:pos:R:3:forces:R:3
C -0.067664 3.977818 -0.707778 -0.006 -0.321 -0.180
C 0.035162 2.621501 -1.411601 -0.107 0.277 0.149
C -0.976668 1.628365 -0.819665 0.244 -0.306 -0.517
O -1.932235 1.966867 -0.158251 -0.271 0.215 0.244